**Wanted:**
Your job: quote the lines below up to the one that holds "0.0075 0.0026", that line included.
**Excerpt:**
## ZnGeRh2 (GGA-PBE)

Data for an optimized crystal structure of ZnGeRh2.

Structure (POSCAR):
```
ZnGeRh2
1.0
0.0000 3.0431 3.0431
3.0431 0.0000 3.0431
3.0431 3.0431 0.0000
Ge Rh Zn
1 2 1
direct
0.5000 0.5000 0.5000
0.2500 0.2500 0.2500
0.7500 0.7500 0.7500
0.0000 0.0000 0.0000
```

ΔH_f (0 K), eV/atom: -0.50

---

## VGaTc2 (GGA-PBE)

Data for an optimized crystal structure of VGaTc2.

Structure (POSCAR):
```
VGaTc2
1.0
0.0000 3.0464 3.0464
3.0464 0.0000 3.0464
3.0464 3.0464 0.0000
Ga Tc V
1 2 1
direct
0.5000 0.5000 0.5000
0.2500 0.2500 0.2500
0.7500 0.7500 0.7500
0.0000 0.0000 0.0000
```

ΔH_f (0 K), eV/atom: -0.24

---

## CrPb2 (GGA-PBE)

Data for an optimized crystal structure of CrPb2.

Structure (POSCAR):
```
CrPb2
1.0
-2.7277 -5.3863 1.6132
-1.8360 -4.9959 -3.2750
3.7761 -5.2314 0.2711
Pb Cr
4 2
direct
0.5340 0.5340 0.7098
0.8244 0.8244 0.1078
0.1756 0.1756 0.8922
0.4660 0.4660 0.2902
0.8267 0.8267 0.6052
0.1733 0.1733 0.3948
```

ΔH_f (0 K), eV/atom: 0.51

---

Copy entry 1 word for word.
## ZnGeRh2 (GGA-PBE)

Data for an optimized crystal structure of ZnGeRh2.

Structure (POSCAR):
```
ZnGeRh2
1.0
0.0000 3.0431 3.0431
3.0431 0.0000 3.0431
3.0431 3.0431 0.0000
Ge Rh Zn
1 2 1
direct
0.5000 0.5000 0.5000
0.2500 0.2500 0.2500
0.7500 0.7500 0.7500
0.0000 0.0000 0.0000
```

ΔH_f (0 K), eV/atom: -0.50

---

The lowest ΔH_f (0 K) belongs to which entry?
ZnGeRh2

---

Repeat the second record exactly.
## VGaTc2 (GGA-PBE)

Data for an optimized crystal structure of VGaTc2.

Structure (POSCAR):
```
VGaTc2
1.0
0.0000 3.0464 3.0464
3.0464 0.0000 3.0464
3.0464 3.0464 0.0000
Ga Tc V
1 2 1
direct
0.5000 0.5000 0.5000
0.2500 0.2500 0.2500
0.7500 0.7500 0.7500
0.0000 0.0000 0.0000
```

ΔH_f (0 K), eV/atom: -0.24

---

What is the formula in the second record?
VGaTc2

* * * * *

[1]
ZrAl: relaxed, PBE.

abc: 3.3552 10.9547 4.3053
angles: 90.00 90.00 90.00
Space group Cmcm (No. 63)
Unique sites:
Zr 0.0000 0.1600 0.2500 (multiplicity 4)
Al 0.0000 0.4289 0.2500 (multiplicity 4)

Properties
Crystal system: orthorhombic
Energy relative to the elements: -0.4706 eV/atom
Raw total energy: -6.62 eV per atom



[2]
CeCrSe3: relaxed, PBE.

abc: 8.1498 3.9762 13.6474
angles: 90.00 90.00 90.00
Space group Pnma (No. 62)
Unique sites:
Ce 0.0943 0.2500 0.1720 (multiplicity 4)
Cr 0.1613 0.7500 0.4480 (multiplicity 4)
Se 0.0144 0.7500 0.6093 (multiplicity 4)
Se 0.1570 0.7500 0.0056 (multiplicity 4)
Se 0.1885 0.2500 0.7865 (multiplicity 4)

Properties
Crystal system: orthorhombic
Energy relative to the elements: -1.4720 eV/atom
Raw total energy: -6.40 eV per atom



[3]
TiAl3: relaxed, PBE.

abc: 3.8440 3.8440 8.6020
angles: 90.00 90.00 90.00
Space group I4/mmm (No. 139)
Unique sites:
Ti 0.0000 0.0000 0.0000 (multiplicity 2)
Al 0.0000 0.0000 0.5000 (multiplicity 2)
Al 0.0000 0.5000 0.2500 (multiplicity 4)

Properties
Crystal system: tetragonal
Energy relative to the elements: -0.3983 eV/atom
Raw total energy: -5.18 eV per atom



[4]
Na3Zn3GePS5O24: relaxed, PBE.

abc: 8.6589 8.6818 22.3397
angles: 89.59 89.61 60.29
Space group P1 (No. 1)
Unique sites:
Na 0.0000 0.0000 0.0000 (multiplicity 1)
Na 0.0042 0.0000 0.5069 (multiplicity 1)
Na 0.3202 0.3549 0.3406 (multiplicity 1)
Na 0.3313 0.3459 0.8371 (multiplicity 1)
Na 0.6347 0.0099 0.2582 (multiplicity 1)
Na 0.6463 0.6970 0.6735 (multiplicity 1)
Na 0.6644 0.6769 0.1741 (multiplicity 1)
Na 0.6989 0.3438 0.0870 (multiplicity 1)
Na 0.9667 0.3400 0.5914 (multiplicity 1)
Zn 0.0009 0.0090 0.3579 (multiplicity 1)
Zn 0.0075 0.0026 0.1579 (multiplicity 1)
Zn 0.0106 0.9993 0.6588 (multiplicity 1)
Zn 0.3217 0.3499 0.1913 (multiplicity 1)
Zn 0.3359 0.3337 0.6928 (multiplicity 1)
Zn 0.6497 0.6915 0.5235 (multiplicity 1)
Zn 0.6641 0.6678 0.3275 (multiplicity 1)
Zn 0.6679 0.6775 0.0184 (multiplicity 1)
Zn 0.9892 0.0095 0.8590 (multiplicity 1)
Ge 0.3248 0.3538 0.9823 (multiplicity 1)
Ge 0.3298 0.3392 0.4918 (multiplicity 1)
Ge 0.6734 0.6649 0.8262 (multiplicity 1)
P 0.3330 0.0506 0.5908 (multiplicity 1)
**Here it is:**
## ZnGeRh2 (GGA-PBE)

Data for an optimized crystal structure of ZnGeRh2.

Structure (POSCAR):
```
ZnGeRh2
1.0
0.0000 3.0431 3.0431
3.0431 0.0000 3.0431
3.0431 3.0431 0.0000
Ge Rh Zn
1 2 1
direct
0.5000 0.5000 0.5000
0.2500 0.2500 0.2500
0.7500 0.7500 0.7500
0.0000 0.0000 0.0000
```

ΔH_f (0 K), eV/atom: -0.50

---

## VGaTc2 (GGA-PBE)

Data for an optimized crystal structure of VGaTc2.

Structure (POSCAR):
```
VGaTc2
1.0
0.0000 3.0464 3.0464
3.0464 0.0000 3.0464
3.0464 3.0464 0.0000
Ga Tc V
1 2 1
direct
0.5000 0.5000 0.5000
0.2500 0.2500 0.2500
0.7500 0.7500 0.7500
0.0000 0.0000 0.0000
```

ΔH_f (0 K), eV/atom: -0.24

---

## CrPb2 (GGA-PBE)

Data for an optimized crystal structure of CrPb2.

Structure (POSCAR):
```
CrPb2
1.0
-2.7277 -5.3863 1.6132
-1.8360 -4.9959 -3.2750
3.7761 -5.2314 0.2711
Pb Cr
4 2
direct
0.5340 0.5340 0.7098
0.8244 0.8244 0.1078
0.1756 0.1756 0.8922
0.4660 0.4660 0.2902
0.8267 0.8267 0.6052
0.1733 0.1733 0.3948
```

ΔH_f (0 K), eV/atom: 0.51

---

Copy entry 1 word for word.
## ZnGeRh2 (GGA-PBE)

Data for an optimized crystal structure of ZnGeRh2.

Structure (POSCAR):
```
ZnGeRh2
1.0
0.0000 3.0431 3.0431
3.0431 0.0000 3.0431
3.0431 3.0431 0.0000
Ge Rh Zn
1 2 1
direct
0.5000 0.5000 0.5000
0.2500 0.2500 0.2500
0.7500 0.7500 0.7500
0.0000 0.0000 0.0000
```

ΔH_f (0 K), eV/atom: -0.50

---

The lowest ΔH_f (0 K) belongs to which entry?
ZnGeRh2

---

Repeat the second record exactly.
## VGaTc2 (GGA-PBE)

Data for an optimized crystal structure of VGaTc2.

Structure (POSCAR):
```
VGaTc2
1.0
0.0000 3.0464 3.0464
3.0464 0.0000 3.0464
3.0464 3.0464 0.0000
Ga Tc V
1 2 1
direct
0.5000 0.5000 0.5000
0.2500 0.2500 0.2500
0.7500 0.7500 0.7500
0.0000 0.0000 0.0000
```

ΔH_f (0 K), eV/atom: -0.24

---

What is the formula in the second record?
VGaTc2

* * * * *

[1]
ZrAl: relaxed, PBE.

abc: 3.3552 10.9547 4.3053
angles: 90.00 90.00 90.00
Space group Cmcm (No. 63)
Unique sites:
Zr 0.0000 0.1600 0.2500 (multiplicity 4)
Al 0.0000 0.4289 0.2500 (multiplicity 4)

Properties
Crystal system: orthorhombic
Energy relative to the elements: -0.4706 eV/atom
Raw total energy: -6.62 eV per atom



[2]
CeCrSe3: relaxed, PBE.

abc: 8.1498 3.9762 13.6474
angles: 90.00 90.00 90.00
Space group Pnma (No. 62)
Unique sites:
Ce 0.0943 0.2500 0.1720 (multiplicity 4)
Cr 0.1613 0.7500 0.4480 (multiplicity 4)
Se 0.0144 0.7500 0.6093 (multiplicity 4)
Se 0.1570 0.7500 0.0056 (multiplicity 4)
Se 0.1885 0.2500 0.7865 (multiplicity 4)

Properties
Crystal system: orthorhombic
Energy relative to the elements: -1.4720 eV/atom
Raw total energy: -6.40 eV per atom



[3]
TiAl3: relaxed, PBE.

abc: 3.8440 3.8440 8.6020
angles: 90.00 90.00 90.00
Space group I4/mmm (No. 139)
Unique sites:
Ti 0.0000 0.0000 0.0000 (multiplicity 2)
Al 0.0000 0.0000 0.5000 (multiplicity 2)
Al 0.0000 0.5000 0.2500 (multiplicity 4)

Properties
Crystal system: tetragonal
Energy relative to the elements: -0.3983 eV/atom
Raw total energy: -5.18 eV per atom



[4]
Na3Zn3GePS5O24: relaxed, PBE.

abc: 8.6589 8.6818 22.3397
angles: 89.59 89.61 60.29
Space group P1 (No. 1)
Unique sites:
Na 0.0000 0.0000 0.0000 (multiplicity 1)
Na 0.0042 0.0000 0.5069 (multiplicity 1)
Na 0.3202 0.3549 0.3406 (multiplicity 1)
Na 0.3313 0.3459 0.8371 (multiplicity 1)
Na 0.6347 0.0099 0.2582 (multiplicity 1)
Na 0.6463 0.6970 0.6735 (multiplicity 1)
Na 0.6644 0.6769 0.1741 (multiplicity 1)
Na 0.6989 0.3438 0.0870 (multiplicity 1)
Na 0.9667 0.3400 0.5914 (multiplicity 1)
Zn 0.0009 0.0090 0.3579 (multiplicity 1)
Zn 0.0075 0.0026 0.1579 (multiplicity 1)